Mined Land Financial Security Information
As a condition precedent to the issuance of a mining permit, each applicant shall furnish financial security, as described below, which is conditioned upon conformance with the applicant's mined land-use plan. The applicant will be informed of the amount of the obligation during the application review process. No financial security should be sent in with the application.
The most commonly used financial security instruments are surety bonds, irrevocable bank letters of credit, and assignments of certificate of deposit. Templates for each type of instrument are available below. Other forms of financial security may be considered. A complete list is provided in 6NYCRR, Part 423.1 (d) (link leaves DEC's website).
When completing the financial security instrument forms below, the following items must be included or the instrument will be rejected:
Unrelated to this article: data records =
# Ac12Nd7Tm
Computed powder diffraction line list, Cu Kα X-rays. Input: DFT lattice parameters and positions (GGA-PBE).
Kinematic intensities with the Lorentz-polarization factor, no thermal factor.

Crystal structure
```
data_Ac12Nd7Tm
_chemical_formula_sum 'Ac12 Nd7 Tm1'
_cell_length_a 12.2429
_cell_length_b 12.2429
_cell_length_c 12.2429
_cell_angle_alpha 116.75
_cell_angle_beta 116.75
_cell_angle_gamma 116.75
_space_group_name_H-M_alt 'P 1'
_space_group_IT_number 1
loop_
_space_group_symop_operation_xyz
'x,y,z'
loop_
_atom_site_label
_atom_site_fract_x
_atom_site_fract_y
_atom_site_fract_z
_atom_site_occupancy
Ac1 0.0000 0.4123 0.5877 1
Ac2 0.0000 0.5877 0.4123 1
Ac3 0.0690 0.0690 0.4151 1
Ac4 0.0690 0.4151 0.0690 1
Ac5 0.4123 0.0000 0.5877 1
Ac6 0.4123 0.5877 0.0000 1
Ac7 0.4151 0.0690 0.0690 1
Ac8 0.5849 0.9310 0.9310 1
Ac9 0.5877 0.0000 0.4123 1
Ac10 0.5877 0.4123 0.0000 1
Ac11 0.9310 0.5849 0.9310 1
Ac12 0.9310 0.9310 0.5849 1
Nd1 0.0000 0.0000 0.0000 1
Nd2 0.1489 0.3916 0.3916 1
Nd3 0.3916 0.1489 0.3916 1
Nd4 0.3916 0.3916 0.1489 1
Nd5 0.6084 0.6084 0.8511 1
Nd6 0.6084 0.8511 0.6084 1
Nd7 0.8511 0.6084 0.6084 1
Tm1 0.5000 0.5000 0.5000 1
```

Most intense lines, 2θ = 5–70°, in order of rising 2θ:
- 22.16°, rel. 26
- 25.28°, rel. 34
- 25.64°, rel. 45
- 28.07°, rel. 100
- 28.42°, rel. 64
- 30.63°, rel. 60
- 30.93°, rel. 49
- 36.59°, rel. 36
- 43.40°, rel. 26
- 44.32°, rel. 40



# Na2RhF7
Computed powder diffraction line list, Cu Kα X-rays. Input: DFT lattice parameters and positions (GGA-PBE).
Kinematic intensities with the Lorentz-polarization factor, no thermal factor.

Crystal structure
```
data_Na2RhF7
_chemical_formula_sum 'Na4 Rh2 F14'
_cell_length_a 7.1386
_cell_length_b 7.1386
_cell_length_c 8.9896
_cell_angle_alpha 125.73
_cell_angle_beta 125.73
_cell_angle_gamma 51.28
_space_group_name_H-M_alt 'P 1'
_space_group_IT_number 1
loop_
_space_group_symop_operation_xyz
'x,y,z'
loop_
_atom_site_label
_atom_site_fract_x
_atom_site_fract_y
_atom_site_fract_z
_atom_site_occupancy
Na1 0.1197 0.2695 0.2854 1
Na2 0.2695 0.1197 0.7854 1
Na3 0.7305 0.8803 0.2146 1
Na4 0.8803 0.7305 0.7146 1
Rh1 0.3699 0.6301 0.2500 1
Rh2 0.6301 0.3699 0.7500 1
F1 0.0543 0.9457 0.2500 1
F2 0.1415 0.5358 0.2213 1
F3 0.2398 0.5753 0.9719 1
F4 0.2522 0.5091 0.6247 1
F5 0.4247 0.7602 0.5281 1
F6 0.4642 0.8585 0.2787 1
F7 0.4909 0.7478 0.8753 1
F8 0.5091 0.2522 0.1247 1
F9 0.5358 0.1415 0.7213 1
F10 0.5753 0.2398 0.4719 1
F11 0.7478 0.4909 0.3753 1
F12 0.7602 0.4247 0.0281 1
F13 0.8585 0.4642 0.7787 1
F14 0.9457 0.0543 0.7500 1
```

Most intense lines, 2θ = 5–70°, in order of rising 2θ:
- 16.96°, rel. 100
- 17.43°, rel. 93
- 18.09°, rel. 50
- 19.80°, rel. 66
- 25.70°, rel. 59
- 26.02°, rel. 74
- 26.64°, rel. 51
- 31.78°, rel. 45
- 43.23°, rel. 42
- 44.98°, rel. 30



# HoTmCu10
Computed powder diffraction line list, Cu Kα X-rays. Input: DFT lattice parameters and positions (GGA-PBE).
Kinematic intensities with the Lorentz-polarization factor, no thermal factor.
- 5-digit Mine File Number
- NYSDEC's address (625 Broadway, 3rd Floor, Albany, NY 12233-6500)
- Official bank letterhead/stationery for irrevocable letters of credit or assignments of certificate of deposit
- Permittee/Principal name must match the application materials or the permit on file
- Financial security instrument number
- Effective date of instrument
- Original and notarized signature(s) of authorized person(s)
Financial Security Form Templates
- Surety Bond - A surety bond may be used to satisfy the financial security requirements. A surety bond rider is used to make changes to an existing surety bond. The Adobe Acrobat version of the Surety Bond and Surety can be completed on-line and printed for signing and submitted to the Division.
- Surety Bond (PDF) (193 KB).
- Surety Bond Rider (PDF) (166 KB).
- Irrevocable Letter of Credit - A letter of credit submitted under financial institution letterhead may be used to satisfy the financial security requirement. The letter of credit must be established in the name of The New York State Department of Environmental Conservation. Changes to an existing the letter of credit may be made by using the letter of credit amendment form.
- Certificate of Deposit - A certificate of deposit may be used to satisfy the financial security requirement if it is assigned to The New York State Department of Environmental Conservation, by using the Assignment of Certificate of Deposit Form. The certificate must be held by the issuing institution and a copy of the assignment letter attached to it. Any interest or dividends are the sole property of the principal (permittee). Changes to an existing the certificate of deposit assignment may be made by using the certificate of deposit amendment form.
- Certificate of Deposit (PDF) (49 KB).
- Certificate of Deposit (Word) (16 KB).
- Certificate of Deposit Amendment (PDF) (52 KB)
____________
The following is a theoretical X-ray diffraction stick pattern of LaNdCu. It was derived from a cell relaxed with PBE, using Cu Ka.
Lines closer than 0.1° are merged.

Largest 12 diffraction maxima, by angle, 2θ from 10° to 90°:
| d [Å] | 2θ (°) | intensity |
| --- | --- | --- |
| 3.072 | 29.1 | 34.5 |
| 3.009 | 29.7 | 100.0 |
| 2.895 | 30.9 | 64.9 |
| 2.702 | 33.2 | 12.6 |
| 2.493 | 36.0 | 52.4 |
| 2.486 | 36.1 | 41.3 |
| 2.230 | 40.5 | 20.3 |
| 1.761 | 51.9 | 17.8 |
| 1.631 | 56.4 | 15.1 |
| 1.577 | 58.5 | 15.1 |
| 1.518 | 61.0 | 12.8 |
| 1.469 | 63.3 | 13.1 |

Structure:
Lattice parameters (Å, degrees): 7.812 4.973 8.640 90.00 90.00 90.00
Sites, in units of the cell vectors:
La: 0.028 0.250 0.162
La: 0.472 0.750 0.662
La: 0.528 0.250 0.338
La: 0.972 0.750 0.838
Nd: 0.143 0.250 0.589
Nd: 0.357 0.750 0.089
Nd: 0.643 0.250 0.911
Nd: 0.857 0.750 0.411
Cu: 0.228 0.750 0.401
Cu: 0.272 0.250 0.901
Cu: 0.728 0.750 0.099
Cu: 0.772 0.250 0.599


The following is a theoretical X-ray diffraction stick pattern of La3Nd3Cu4. It was derived from a cell relaxed with PBE, using Cu Ka.
Lines closer than 0.1° are merged.

Largest 12 diffraction maxima, by angle, 2θ from 10° to 90°:
| d [Å] | 2θ (°) | intensity |
| --- | --- | --- |
| 3.529 | 25.2 | 22.3 |
| 3.346 | 26.6 | 6.0 |
| 3.333 | 26.7 | 6.0 |
| 2.934 | 30.5 | 50.3 |
| 2.731 | 32.8 | 100.0 |
| 2.372 | 37.9 | 28.2 |
| 2.365 | 38.0 | 22.6 |
| 2.358 | 38.2 | 21.7 |
| 1.674 | 54.9 | 32.9 |
| 1.654 | 55.6 | 7.9 |
| 1.647 | 55.8 | 7.6 |
| 1.429 | 65.3 | 13.1 |

Structure:
Lattice parameters (Å, degrees): 4.744 7.468 7.468 90.28 90.00 90.00
Sites, in units of the cell vectors:
La: 0.000 0.000 0.000
La: 0.000 0.499 0.823
La: 0.000 0.823 0.499
Nd: 0.000 0.326 0.326
Nd: 0.500 0.162 0.656
Nd: 0.500 0.656 0.162
Cu: 0.500 0.043 0.281
Cu: 0.500 0.281 0.043
Cu: 0.500 0.539 0.539
Cu: 0.500 0.782 0.782

~~~~~

For Ce7Ga5Si, a cell relaxed with PBE gives the simulated XRD peak list in this record (Cu Kα).
Lines closer than 0.1° are merged.

Main lines, in order of rising 2θ (15 to 90 degrees two-theta):
| d (Å) | I (rel.) |
| --- | --- |
| 3.724 | 32 |
| 3.677 | 48 |
| 3.025 | 36 |
| 2.946 | 31 |
| 2.621 | 69 |
| 2.571 | 28 |
| 2.361 | 28 |
| 2.310 | 100 |

Lattice parameters (Å, degrees): 8.009 8.009 8.009 136.84 97.35 98.20
Fractional positions:
Ce (0.000, 0.000, 0.000)
Ce (0.404, 0.700, 0.704)
Ce (0.419, 0.419, 0.000)
Ce (0.502, 0.163, 0.339)
Ce (0.824, 0.163, 0.661)
Ce (0.869, 0.369, 0.500)
Ce (0.996, 0.700, 0.296)
Ga (0.185, 0.206, 0.514)
Ga (0.185, 0.671, 0.980)
Ga (0.411, 0.911, 0.500)
Ga (0.691, 0.206, 0.020)
Ga (0.691, 0.671, 0.486)
Si (0.704, 0.704, 0.000)

~~~~~

Record 1
# TbFe11W
Simulated PXRD pattern, Cu Kα, 1.54184 Å. Input: a structure optimized by DFT (GGA-PBE).
Kinematic intensities with the Lorentz-polarization factor, no thermal factor.

Structural model:
```
TbFe11W
1.0
-2.342 4.221 4.269
2.342 -4.221 4.269
2.342 4.221 -4.269
Tb Fe W
1 11 1
direct
0.000 0.000 0.000 Tb
0.005 0.005 0.500 Fe
____________
- Certificate of Deposit Amendment (Word) (26 KB)
In the event of cancellation, non-renewal, or termination of financial security, the permittee is responsible for providing a replacement to prevent department action to call the proceeds of the surety account. Failure to do so can also result in permit suspension, revocation and liability for penalties.
Please call (518) 402-8056 if you have any questions regarding these forms or procedures.